What to do.
The reader should transcribe the lines further down up to the one that holds "-0.816", that line included.
Material.
/*
This record from OMol25 describes a single C4H5Br molecule. The level of theory is the ωB97M-V functional and the def2-TZVPD basis.

Values from the calculation:
- E_tot: -74265.4949 eV
- HOMO: -8.90 eV
- Energy above the lowest of the compared OMol25 structures with the same formula, charge and spin: 431.0 kJ/mol

```
10
C4H5Br, DFT the ωB97M-V functional and the def2-TZVPD basis
C 0.312 0.048 0.411
C -0.385 -1.077 1.501
C 1.396 0.952 0.091
C -0.910 0.017 -0.515
Br -0.263 -2.690 0.649
H 1.223 1.668 -0.756
H 2.254 1.142 0.863
H -1.468 0.900 -0.739
H -1.760 -0.559 -0.110
H -0.399 -0.403 -1.393
```

* * * * *

## one
Entry from the Open Molecules 2025 dataset: C3H5FOS in the gas phase (ωB97M-V/def2-TZVPD).

XYZ file:
```
11
C3H5FOS, DFT ωB97M-V/def2-TZVPD
C 0.997 -0.731 0.489
C -0.276 -0.028 0.931
C 0.942 0.756 0.503
H 0.134 -1.330 -1.116
H 1.574 -1.238 1.244
H -0.510 -0.040 2.010
H -1.472 1.052 -0.816
H 1.443 1.378 1.259
O 1.040 -1.386 -0.720
F 0.868 1.403 -0.703
S -1.705 -0.084 -0.127
```

Summary:
- Frontier orbital gap: 10.19 eV
- Spin multiplicity: 1

---

## two
Entry from the Open Molecules 2025 dataset: C3H5FOS in the gas phase (ωB97M-V/def2-TZVPD).

XYZ file:
```
11
C3H5FOS, DFT ωB97M-V/def2-TZVPD
C -1.869 0.310 0.833
C -0.964 0.025 -0.355
C 0.450 0.420 -0.179
H -1.531 -0.326 1.701
H -2.947 0.107 0.707
H -1.708 1.370 1.156
H -1.372 0.607 -1.310
H -0.177 2.164 -0.614
O 0.649 1.717 -0.337
F -1.103 -1.363 -0.621
S 1.672 -0.620 0.303
```

Summary:
- Frontier orbital gap: 8.92 eV
- Spin multiplicity: 1

---

Which is less stable than every other structure shown? one is.

* * * * *

Density functional theory data (ωB97M-V/def2-TZVPD) for 3 unconnected molecules or ions with the total composition C3H12NO3S in a non-equilibrium geometry.

Calculated values
Charge: +1
E_HOMO, eV: -12.81
Orbital gap, eV: 9.31
Relative energy (zero: lowest compared OMol25 entry of this formula, charge and spin), kcal per mole: 0.2

Structure (XYZ):
```
20
C3H12NO3S ωB97M-V/def2-TZVPD
O 2.587 -0.569 -0.456
C 1.416 -0.736 -0.673
C 0.521 0.428 -1.113
C -0.943 0.187 -0.775
S -1.759 -1.108 -1.684
N 1.083 1.619 -0.410
H 0.903 -1.699 -0.505
H 0.635 0.583 -2.178
H -1.496 1.126 -0.712
H -0.895 -0.094 0.266
H -2.888 -1.112 -0.966
H 0.651 2.522 -0.634
H 2.080 1.675 -0.592
H 0.961 1.557 0.625
H -0.563 2.360 2.592
H -0.310 0.759 2.326
O -0.322 1.671 1.972
H -0.821 -1.181 3.423
H 0.759 -1.063 3.238
O -0.102 -0.924 2.836
```

Density functional theory data (ωB97M-V/def2-TZVPD) for 3 unconnected molecules or ions with the total composition C3H12NO3S in a non-equilibrium geometry.

Calculated values
Charge: +1
E_HOMO, eV: -12.98
Orbital gap, eV: 9.44
Relative energy (zero: lowest compared OMol25 entry of this formula, charge and spin), kcal per mole: 24.1

Structure (XYZ):
```
20
C3H12NO3S ωB97M-V/def2-TZVPD
O 2.244 -0.757 -0.822
C 1.406 -0.784 -1.678
C 0.161 0.114 -1.459
C -0.896 -0.652 -0.669
S -2.146 -1.549 -1.699
N 0.569 1.219 -0.425
H 1.335 -1.382 -2.577
H -0.199 0.666 -2.328
H -1.430 -0.007 0.114
H -0.508 -1.172 0.234
H -1.101 -2.308 -2.224
H 1.474 1.601 -0.694
H 0.711 0.775 0.481
H -0.134 1.915 -0.414
H -0.737 2.643 2.145
H -0.119 1.487 2.886
O -0.238 1.838 1.975
H -0.634 -1.793 2.241
H 0.582 -0.981 2.631
O -0.340 -0.872 2.285
```

Density functional theory data (ωB97M-V/def2-TZVPD) for 3 unconnected molecules or ions with the total composition C3H12NO4 in a non-equilibrium geometry.

Calculated values
Charge: -1
E_HOMO, eV: -4.66
Orbital gap, eV: 8.17
Relative energy (zero: lowest compared OMol25 entry of this formula, charge and spin), kcal per mole: 50.3

Structure (XYZ):
```
20
C3H12NO4 ωB97M-V/def2-TZVPD
N -1.860 1.259 -1.421
C -0.711 0.916 -0.498
C 0.681 0.723 -1.262
O 0.911 1.789 -2.142
C -0.935 -0.378 0.400
O 0.339 -0.737 0.885
H -1.520 1.695 -2.284
H -2.502 0.505 -1.809
H -0.650 1.828 0.115
H 1.448 0.550 -0.459
H 0.747 -0.181 -1.893
H 1.244 2.391 -1.530
H -1.626 -0.019 1.279
H -1.333 -1.331 -0.120
H 1.883 -2.982 0.422
H 0.666 -2.228 0.491
*/
Here it is.
This record from OMol25 describes a single C4H5Br molecule. The level of theory is the ωB97M-V functional and the def2-TZVPD basis.

Values from the calculation:
- E_tot: -74265.4949 eV
- HOMO: -8.90 eV
- Energy above the lowest of the compared OMol25 structures with the same formula, charge and spin: 431.0 kJ/mol

```
10
C4H5Br, DFT the ωB97M-V functional and the def2-TZVPD basis
C 0.312 0.048 0.411
C -0.385 -1.077 1.501
C 1.396 0.952 0.091
C -0.910 0.017 -0.515
Br -0.263 -2.690 0.649
H 1.223 1.668 -0.756
H 2.254 1.142 0.863
H -1.468 0.900 -0.739
H -1.760 -0.559 -0.110
H -0.399 -0.403 -1.393
```

* * * * *

## one
Entry from the Open Molecules 2025 dataset: C3H5FOS in the gas phase (ωB97M-V/def2-TZVPD).

XYZ file:
```
11
C3H5FOS, DFT ωB97M-V/def2-TZVPD
C 0.997 -0.731 0.489
C -0.276 -0.028 0.931
C 0.942 0.756 0.503
H 0.134 -1.330 -1.116
H 1.574 -1.238 1.244
H -0.510 -0.040 2.010
H -1.472 1.052 -0.816